(Activity)
Copy the whole of the calculation results below exactly.
(Source)
____________
1.
A relaxed Mg4Si7 crystal, computed with PBE-GGA.

Values from the calculation:
- SG = Pm (6)
- VASP energy (eV per atom) = -3.911
- E_form (eV/atom) = 0.169

a = 3.9022 Å, b = 6.4798 Å, c = 15.5365 Å
α = 80.41°, β = 90.00°, γ = 90.00°
Last column: nearest neighbours and their distance in Å.
Fractional positions:
1 Mg 0.0000 0.9379 0.9036  10 Si 2.75-3.06
2 Mg 0.0000 0.3920 0.5039  3 Si 2.64-2.96
3 Mg 0.5000 0.2853 0.3491  5 Si 2.72-2.93
4 Mg 0.5000 0.5219 0.6556  8 Si 2.80-3.07
5 Mg 0.0000 0.4498 0.8444  10 Si 2.80-3.06
6 Mg 0.5000 0.7305 0.1923  9 Si 2.73-2.98
7 Mg 0.5000 0.7441 0.4182  8 Si 2.78-3.08
8 Mg 0.5000 0.0507 0.5807  8 Si 2.78-3.00, 2 Mg 3.04
9 Si 0.5000 0.2059 0.9731  4 Si 2.48-2.68
10 Si 0.5000 0.5878 0.9751  4 Si 2.46-2.63
11 Si 0.0000 0.6683 0.0605  4 Si 2.45-2.50
12 Si 0.0000 0.4030 0.1929  4 Si 2.45-2.56
13 Si 0.0000 0.7609 0.5555  2 Si 2.38-2.46, 1 Mg 2.64
14 Si 0.0000 0.0399 0.4347  2 Si 2.38-2.50
15 Si 0.5000 0.1564 0.1770  6 Si 2.56-2.71, 1 Mg 2.73
16 Si 0.5000 0.7627 0.8099  4 Si 2.51-2.64, 4 Mg 2.79-2.80
17 Si 0.0000 0.2022 0.6958  3 Si 2.44-2.56
18 Si 0.0000 0.0495 0.0713  5 Si 2.50-2.71
19 Si 0.0000 0.5889 0.3178  2 Si 2.45
20 Si 0.5000 0.1724 0.8038  4 Si 2.56-2.68, 4 Mg 2.78-2.80
21 Si 0.0000 0.8219 0.7076  4 Si 2.44-2.51
22 Si 0.0000 0.9720 0.2808  4 Si 2.45-2.68

=====

2.
A relaxed Mg4Si3 crystal, computed with PBE-GGA.

Values from the calculation:
- SG = P1 (1)
- VASP energy (eV per atom) = -3.206
- E_form (eV/atom) = 0.064

a = 5.6032 Å, b = 7.6313 Å, c = 8.0283 Å
α = 122.09°, β = 111.01°, γ = 89.93°
Last column: nearest neighbours and their distance in Å.
Fractional positions:
1 Mg 0.6384 0.5061 0.8227  7 Si 2.81-3.00, 2 Mg 3.12-3.14
2 Mg 0.5476 0.9948 0.0432  5 Si 2.76-2.90, 3 Mg 3.04-3.07
3 Mg 0.4955 0.9326 0.3777  4 Si 2.72-2.98, 2 Mg 2.80-2.82
4 Mg 0.9914 0.9532 0.3657  4 Si 2.75-2.88, 3 Mg 2.80-3.04
5 Mg 0.6035 0.4663 0.1815  6 Si 2.83-3.14, 3 Mg 2.99-3.13
6 Mg 0.0897 0.7176 0.5986  7 Si 2.80-3.01, 4 Mg 2.99-3.06
7 Mg 0.2435 0.3090 0.3391  4 Si 2.77-3.02, 1 Mg 3.03
8 Mg 0.9841 0.1597 0.8363  5 Si 2.68-2.92
9 Si 0.4340 0.1037 0.7511  1 Si 2.56, 5 Mg 2.72-2.83
10 Si 0.1791 0.5683 0.8906  3 Si 2.44-2.68
11 Si 0.0136 0.8895 0.9853  2 Si 2.44-2.53
12 Si 0.6087 0.7671 0.6416  2 Si 2.53-2.56, 1 Mg 2.80
13 Si 0.1105 0.5617 0.1844  1 Si 2.55, 4 Mg 2.68-2.83
14 Si 0.8103 0.3204 0.4822  1 Si 2.68, 6 Mg 2.77-2.98

=====

3.
A relaxed Mg2Si3 crystal, computed with PBE-GGA.

Values from the calculation:
- SG = P1 (1)
- VASP energy (eV per atom) = -3.767
- E_form (eV/atom) = 0.171

a = 3.5524 Å, b = 6.0692 Å, c = 17.9801 Å
α = 94.85°, β = 94.40°, γ = 107.00°
Last column: nearest neighbours and their distance in Å.
Fractional positions:
1 Mg 0.7249 0.1367 0.2025  6 Si 2.72-2.97
2 Mg 0.8269 0.7375 0.8048  6 Si 2.63-2.89
3 Mg 0.4667 0.8158 0.0553  6 Si 2.78-3.00, 2 Mg 3.05-3.06
4 Mg 0.0867 0.0680 0.9466  5 Si 2.75-2.95, 2 Mg 3.01-3.05
5 Mg 0.0688 0.3450 0.6969  6 Si 2.79-3.07, 1 Mg 3.11
6 Mg 0.4628 0.5380 0.2975  8 Si 2.78-3.11
7 Mg 0.0931 0.5617 0.5460  5 Si 2.70-3.01
8 Mg 0.7357 0.8748 0.4538  5 Si 2.81-3.01, 1 Mg 3.10
9 Si 0.7361 0.3040 0.0519  3 Si 2.47-2.51
10 Si 0.8024 0.5667 0.9496  3 Si 2.50-2.51
11 Si 0.3478 0.4483 0.1417  4 Si 2.47-2.54
12 Si 0.1960 0.4227 0.8574  4 Si 2.50-2.54, 2 Mg 2.75-2.77
13 Si 0.3501 0.9618 0.6783  4 Si 2.37-2.55
14 Si 0.1693 0.9182 0.3156  3 Si 2.49-2.53
15 Si 0.4034 0.1369 0.5538  2 Si 2.55-2.57, 2 Mg 2.84
16 Si 0.4528 0.3727 0.4410  3 Si 2.44-2.57, 1 Mg 2.72
17 Si 0.7072 0.6927 0.6573  2 Si 2.37, 1 Mg 2.63
18 Si 0.8334 0.2175 0.3549  4 Si 2.44-2.53, 1 Mg 2.72
19 Si 0.0116 0.7497 0.1817  3 Si 2.49-2.54
20 Si 0.5243 0.1312 0.8132  3 Si 2.50-2.54

=====

4.
A relaxed Mg5Si6 crystal, computed with PBE-GGA.

Values from the calculation:
- SG = P1 (1)
- VASP energy (eV per atom) = -3.624
- E_form (eV/atom) = 0.102

a = 3.9520 Å, b = 6.8446 Å, c = 15.6973 Å
α = 101.05°, β = 97.12°, γ = 89.54°
Last column: nearest neighbours and their distance in Å.
Fractional positions:
____________
(Result)
1.
A relaxed Mg4Si7 crystal, computed with PBE-GGA.

Values from the calculation:
- SG = Pm (6)
- VASP energy (eV per atom) = -3.911
- E_form (eV/atom) = 0.169

a = 3.9022 Å, b = 6.4798 Å, c = 15.5365 Å
α = 80.41°, β = 90.00°, γ = 90.00°
Last column: nearest neighbours and their distance in Å.
Fractional positions:
1 Mg 0.0000 0.9379 0.9036  10 Si 2.75-3.06
2 Mg 0.0000 0.3920 0.5039  3 Si 2.64-2.96
3 Mg 0.5000 0.2853 0.3491  5 Si 2.72-2.93
4 Mg 0.5000 0.5219 0.6556  8 Si 2.80-3.07
5 Mg 0.0000 0.4498 0.8444  10 Si 2.80-3.06
6 Mg 0.5000 0.7305 0.1923  9 Si 2.73-2.98
7 Mg 0.5000 0.7441 0.4182  8 Si 2.78-3.08
8 Mg 0.5000 0.0507 0.5807  8 Si 2.78-3.00, 2 Mg 3.04
9 Si 0.5000 0.2059 0.9731  4 Si 2.48-2.68
10 Si 0.5000 0.5878 0.9751  4 Si 2.46-2.63
11 Si 0.0000 0.6683 0.0605  4 Si 2.45-2.50
12 Si 0.0000 0.4030 0.1929  4 Si 2.45-2.56
13 Si 0.0000 0.7609 0.5555  2 Si 2.38-2.46, 1 Mg 2.64
14 Si 0.0000 0.0399 0.4347  2 Si 2.38-2.50
15 Si 0.5000 0.1564 0.1770  6 Si 2.56-2.71, 1 Mg 2.73
16 Si 0.5000 0.7627 0.8099  4 Si 2.51-2.64, 4 Mg 2.79-2.80
17 Si 0.0000 0.2022 0.6958  3 Si 2.44-2.56
18 Si 0.0000 0.0495 0.0713  5 Si 2.50-2.71
19 Si 0.0000 0.5889 0.3178  2 Si 2.45
20 Si 0.5000 0.1724 0.8038  4 Si 2.56-2.68, 4 Mg 2.78-2.80
21 Si 0.0000 0.8219 0.7076  4 Si 2.44-2.51
22 Si 0.0000 0.9720 0.2808  4 Si 2.45-2.68

=====

2.
A relaxed Mg4Si3 crystal, computed with PBE-GGA.

Values from the calculation:
- SG = P1 (1)
- VASP energy (eV per atom) = -3.206
- E_form (eV/atom) = 0.064

a = 5.6032 Å, b = 7.6313 Å, c = 8.0283 Å
α = 122.09°, β = 111.01°, γ = 89.93°
Last column: nearest neighbours and their distance in Å.
Fractional positions:
1 Mg 0.6384 0.5061 0.8227  7 Si 2.81-3.00, 2 Mg 3.12-3.14
2 Mg 0.5476 0.9948 0.0432  5 Si 2.76-2.90, 3 Mg 3.04-3.07
3 Mg 0.4955 0.9326 0.3777  4 Si 2.72-2.98, 2 Mg 2.80-2.82
4 Mg 0.9914 0.9532 0.3657  4 Si 2.75-2.88, 3 Mg 2.80-3.04
5 Mg 0.6035 0.4663 0.1815  6 Si 2.83-3.14, 3 Mg 2.99-3.13
6 Mg 0.0897 0.7176 0.5986  7 Si 2.80-3.01, 4 Mg 2.99-3.06
7 Mg 0.2435 0.3090 0.3391  4 Si 2.77-3.02, 1 Mg 3.03
8 Mg 0.9841 0.1597 0.8363  5 Si 2.68-2.92
9 Si 0.4340 0.1037 0.7511  1 Si 2.56, 5 Mg 2.72-2.83
10 Si 0.1791 0.5683 0.8906  3 Si 2.44-2.68
11 Si 0.0136 0.8895 0.9853  2 Si 2.44-2.53
12 Si 0.6087 0.7671 0.6416  2 Si 2.53-2.56, 1 Mg 2.80
13 Si 0.1105 0.5617 0.1844  1 Si 2.55, 4 Mg 2.68-2.83
14 Si 0.8103 0.3204 0.4822  1 Si 2.68, 6 Mg 2.77-2.98

=====

3.
A relaxed Mg2Si3 crystal, computed with PBE-GGA.

Values from the calculation:
- SG = P1 (1)
- VASP energy (eV per atom) = -3.767
- E_form (eV/atom) = 0.171

a = 3.5524 Å, b = 6.0692 Å, c = 17.9801 Å
α = 94.85°, β = 94.40°, γ = 107.00°
Last column: nearest neighbours and their distance in Å.
Fractional positions:
1 Mg 0.7249 0.1367 0.2025  6 Si 2.72-2.97
2 Mg 0.8269 0.7375 0.8048  6 Si 2.63-2.89
3 Mg 0.4667 0.8158 0.0553  6 Si 2.78-3.00, 2 Mg 3.05-3.06
4 Mg 0.0867 0.0680 0.9466  5 Si 2.75-2.95, 2 Mg 3.01-3.05
5 Mg 0.0688 0.3450 0.6969  6 Si 2.79-3.07, 1 Mg 3.11
6 Mg 0.4628 0.5380 0.2975  8 Si 2.78-3.11
7 Mg 0.0931 0.5617 0.5460  5 Si 2.70-3.01
8 Mg 0.7357 0.8748 0.4538  5 Si 2.81-3.01, 1 Mg 3.10
9 Si 0.7361 0.3040 0.0519  3 Si 2.47-2.51
10 Si 0.8024 0.5667 0.9496  3 Si 2.50-2.51
11 Si 0.3478 0.4483 0.1417  4 Si 2.47-2.54
12 Si 0.1960 0.4227 0.8574  4 Si 2.50-2.54, 2 Mg 2.75-2.77
13 Si 0.3501 0.9618 0.6783  4 Si 2.37-2.55
14 Si 0.1693 0.9182 0.3156  3 Si 2.49-2.53
15 Si 0.4034 0.1369 0.5538  2 Si 2.55-2.57, 2 Mg 2.84
16 Si 0.4528 0.3727 0.4410  3 Si 2.44-2.57, 1 Mg 2.72
17 Si 0.7072 0.6927 0.6573  2 Si 2.37, 1 Mg 2.63
18 Si 0.8334 0.2175 0.3549  4 Si 2.44-2.53, 1 Mg 2.72
19 Si 0.0116 0.7497 0.1817  3 Si 2.49-2.54
20 Si 0.5243 0.1312 0.8132  3 Si 2.50-2.54

=====

4.
A relaxed Mg5Si6 crystal, computed with PBE-GGA.

Values from the calculation:
- SG = P1 (1)
- VASP energy (eV per atom) = -3.624
- E_form (eV/atom) = 0.102

a = 3.9520 Å, b = 6.8446 Å, c = 15.6973 Å
α = 101.05°, β = 97.12°, γ = 89.54°
Last column: nearest neighbours and their distance in Å.
Fractional positions: